Draft EU budget 2023: €53.6 billion proposed for the CAP
The Commission has today proposed an annual EU budget of €185.6 billion for 2023, to be complemented by an estimated €113.9 billion in grants under Ne...
The Commission has today proposed an annual EU budget of €185.6 billion for 2023, to be complemented by an estimated €113.9 billion in grants under Ne...
At a meeting today the Council formally adopted the common agricultural policy (CAP) for the period 2023-2027. The new legislation paves the way for a...
Member states' EU ambassadors today agreed the Council's position on the 2022 EU draft budget. In total, the Council's position amounts to €167.7 bill...
The German presidency of the Council and the European Parliament's negotiators today reached a provisional agreement on a new general regime of condit...
Member states' EU ambassadors today agreed the Council's position on a regulation on a general regime of conditionality for the protection of the Unio...
In its proposal for a reinforced long-term budget, the Commission will increase the Common Agricultural Policy (CAP) by €9 billion (€4 billion for the...
As announced by European Commission President von der Leyen on 27 May 2020, the Commission is proposing a new REACT-EU initiative to increase cohesion...
The European Commission has put forward its proposal for a major recovery plan. To ensure the recovery is sustainable, even, inclusive and fair for al...
Considering the health crisis and consequent delays to finding a timely agreement on the new long-term EU budget, Budget MEPs reiterate their call for...
• Attached: calculated crystals:
[1]
Calculated X-ray powder pattern of Cs3Sm2CdSe6 for a wavelength of 1.5418 Å, from a crystal structure in Alexandria, relaxed with GGA-PBE.

Structure:
a b c (Å): 7.481 7.481 8.766
angles (deg): 98.15 98.15 119.96
Atoms (fractional coordinates):
Cs 0.000 0.000 0.000
Cs 0.334 0.666 0.000
Cs 0.666 0.334 0.000
Sm 0.167 0.833 0.500
Sm 0.833 0.167 0.500
Cd 0.500 0.500 0.500
Se 0.105 0.437 0.312
Se 0.230 0.230 0.688
Se 0.437 0.105 0.312
Se 0.563 0.895 0.688
Se 0.770 0.770 0.312
Se 0.895 0.563 0.688

The 10 most intense peaks (15° ≤ 2θ ≤ 90°), low angle first:
21.14 deg, d = 4.203 Å, I = 9.2
24.82 deg, d = 3.587 Å, I = 10.1
27.73 deg, d = 3.218 Å, I = 100.0
37.30 deg, d = 2.411 Å, I = 33.2
41.82 deg, d = 2.160 Å, I = 36.0
43.26 deg, d = 2.091 Å, I = 10.8
50.94 deg, d = 1.793 Å, I = 12.1
57.27 deg, d = 1.609 Å, I = 9.4
61.57 deg, d = 1.506 Å, I = 9.1
67.93 deg, d = 1.380 Å, I = 15.9

---

[2]
Calculated X-ray powder pattern of Cs2CdSnSe4 for a wavelength of 1.5418 Å, from a crystal structure in Alexandria, relaxed with GGA-PBE.

Structure:
a b c (Å): 14.871 13.279 8.196
angles (deg): 84.11 62.65 33.24
Atoms (fractional coordinates):
Cs 0.056 0.056 0.694
Cs 0.306 0.306 0.944
Cs 0.694 0.694 0.056
Cs 0.944 0.944 0.306
Cd 0.125 0.125 0.125
Cd 0.875 0.875 0.875
Sn 0.375 0.375 0.375
Sn 0.625 0.625 0.625
Se 0.013 0.345 0.436
Se 0.294 0.564 0.655
Se 0.345 0.013 0.706
Se 0.436 0.706 0.013
Se 0.564 0.294 0.987
Se 0.655 0.987 0.294
Se 0.706 0.436 0.345
Se 0.987 0.655 0.564

The 10 most intense peaks (15° ≤ 2θ ≤ 90°), low angle first:
22.50 deg, d = 3.951 Å, I = 22.0
23.94 deg, d = 3.718 Å, I = 69.9
24.57 deg, d = 3.623 Å, I = 100.0
28.28 deg, d = 3.156 Å, I = 72.9
29.26 deg, d = 3.052 Å, I = 38.6
34.02 deg, d = 2.635 Å, I = 59.7
41.92 deg, d = 2.155 Å, I = 52.9
44.46 deg, d = 2.038 Å, I = 30.6
45.36 deg, d = 1.999 Å, I = 41.2
60.73 deg, d = 1.525 Å, I = 28.1

---

[3]
Calculated X-ray powder pattern of CsSrCdSe2 for a wavelength of 1.5418 Å, from a crystal structure in Alexandria, relaxed with GGA-PBE.

Structure:
a b c (Å): 8.419 5.802 8.659
angles (deg): 90.00 101.33 90.00
Atoms (fractional coordinates):
Cs 0.000 0.177 0.250
Cs 0.000 0.823 0.750
Sr 0.500 0.492 0.750
Sr 0.500 0.508 0.250
Cd 0.500 0.000 0.000
Cd 0.500 0.000 0.500
Se 0.269 0.326 0.958
Se 0.269 0.674 0.458
Se 0.731 0.326 0.542
Se 0.731 0.674 0.042

The 10 most intense peaks (15° ≤ 2θ ≤ 90°), low angle first:
21.56 deg, d = 4.121 Å, I = 76.3
22.47 deg, d = 3.957 Å, I = 100.0
26.53 deg, d = 3.360 Å, I = 68.8
26.91 deg, d = 3.314 Å, I = 30.0
29.78 deg, d = 3.000 Å, I = 60.0
32.72 deg, d = 2.737 Å, I = 40.8
38.58 deg, d = 2.334 Å, I = 35.4
43.87 deg, d = 2.064 Å, I = 27.4
45.43 deg, d = 1.996 Å, I = 35.6
51.94 deg, d = 1.760 Å, I = 40.8

---

[4]
Calculated X-ray powder pattern of CsTbCdSe3 for a wavelength of 1.5418 Å, from a crystal structure in Alexandria, relaxed with GGA-PBE.

Structure:
a b c (Å): 9.588 4.320 10.634
angles (deg): 90.00 110.89 90.00
Atoms (fractional coordinates):
Finland's Presidency has submitted its proposal for the next long-term EU budget, the multiannual financial framework (MFF) for 2021–2027, to the memb...
On 18 November the Council and the European Parliament reached agreement on an EU budget for 2020 which strongly focuses on growth and competitiveness...
Ahead of the European Council meeting on 17 and 18 October, the European Commission calls on EU Heads of State or Government to provide political guid...
EU ambassadors today agreed the Council's position on the 2020 EU draft budget. Once formally adopted by the Council, this will serve as a mandate for...
The European Commission has proposed an EU budget of €168.3 billion for 2020 for a more competitive European economy, and for solidarity and security...
For the next long-term EU budget 2021-2027, the Commission is proposing to modernise and simplify the Common Agricultural Policy (CAP).
The Commission is today proposing a pragmatic, modern, long-term budget for the 2021-2027 period. It is an honest response to today's reality in which...
EU Commissioner for Agriculture & Rural Development Phil Hogan today (April 20th) stated that his top priority in the ongoing EU budget negotiatio...
Against the backdrop of the ongoing negotiations concerning the UK withdrawal from the European Union, the European Commission will present on May 2nd...
The EU is simplifying the rules on using money from the EU budget. On 19 April 2018, the Council's Permanent Representatives Committee (Coreper) endor...
Napjainkban egyre ritkábban találkozni igazi fateknőkkel, amelyekben annak idején például disznóvágáskor a kolbászt keverték, a húst sózták.
A Nébih figyelmezteti a biomassza-kereskedőket, biomassza-feldolgozókat és az üzemanyag-forgalmazókat.
Égető szükség van termelési hatékonyság és a versenyképesség növelésére, valamint a talaj állapotának javítására.
A tölgyerdők nagy természeti tőkét jelentenek: szerepük van a faanyagellátásban, a biodiverzitás megőrzésében és a rekreáció biztosításában.
Megnyitja kapuit Európa egyik legnagyobb mezőgazdasági szakkiállítása, a kilenc napig tartó, neves Salon d'Agriculture.